**Work order:**
Give back everything below verbatim, please.

**Material:**
/*
[1]
Entry from OMol25: 5 unconnected molecules or ions with the total composition C30H71N (ωB97M-V/def2-TZVPD).

Computed properties:
LUMO level: 0.75 eV
Frontier orbital gap: 9.04 eV
E_tot: -33736.7803 eV
Charge: 0
Energy relative to the best compared isomer or geometry (same formula, charge and spin): 80.8 kcal/mol
SMILES string: CCN(CC)CC.CCCCCC.CCCCCC.CCCCCC.CCCCCC
M: 445.90 g mol⁻¹

Positions of all 102 atoms, in Å:
C  2.697  0.822  3.675
C  1.951  -0.128  2.882
N  0.538  0.183  2.559
C  0.066  -0.289  1.143
C  0.139  -1.781  0.946
C  -0.521  -0.331  3.524
C  -2.000  0.008  3.341
H  2.685  1.946  3.168
H  3.840  0.790  3.700
H  2.168  1.077  4.571
H  1.980  -1.326  3.154
H  2.527  -0.221  1.903
H  0.817  0.236  0.388
H  -0.776  0.300  0.576
H  -0.281  -1.987  0.104
H  -0.358  -2.352  1.744
H  1.078  -2.048  1.121
H  -0.227  0.030  4.418
H  -0.315  -1.466  3.632
H  -2.099  1.185  3.159
H  -2.641  -0.336  4.020
H  -2.180  -0.598  2.513
C  -0.985  3.300  -5.425
C  -0.119  2.061  -5.779
C  -0.563  0.848  -5.121
C  0.435  -0.330  -5.183
C  0.092  -1.596  -4.465
C  0.463  -1.560  -2.931
H  -0.953  3.393  -4.365
H  -1.918  3.085  -5.652
H  -0.771  4.179  -5.920
H  0.976  2.303  -5.594
H  -0.326  2.083  -6.714
H  -1.589  0.579  -5.119
H  -0.557  1.081  -4.041
H  1.569  -0.188  -4.855
H  0.375  -0.551  -6.237
H  0.296  -2.516  -4.825
H  -0.938  -1.683  -4.433
H  1.451  -1.555  -2.872
H  0.183  -2.408  -2.403
H  -0.013  -0.741  -2.435
C  4.891  -6.626  3.778
C  4.808  -7.523  2.536
C  3.533  -7.250  1.732
C  3.739  -6.012  0.853
C  2.484  -5.352  0.168
C  2.787  -4.019  -0.434
H  5.733  -7.088  4.325
H  3.999  -6.556  4.455
H  5.147  -5.591  3.420
H  4.666  -8.581  2.786
H  5.830  -7.331  2.063
H  2.735  -7.177  2.460
H  3.253  -8.232  1.291
H  4.450  -6.122  0.114
H  3.945  -5.339  1.610
H  1.651  -5.209  0.702
H  2.082  -5.969  -0.676
H  3.685  -4.053  -1.095
H  3.103  -3.509  0.429
H  1.947  -3.715  -1.121
C  -6.670  0.107  -4.304
C  -5.529  1.043  -3.881
C  -5.667  1.139  -2.309
C  -4.508  2.180  -1.747
C  -3.117  2.140  -2.230
C  -2.129  2.606  -1.307
H  -7.556  0.520  -3.973
H  -6.530  -0.942  -3.923
H  -6.783  -0.317  -5.310
H  -5.458  2.098  -4.290
H  -4.576  0.792  -4.128
H  -5.501  0.253  -1.968
H  -6.473  1.403  -1.812
H  -4.532  1.964  -0.612
H  -5.096  3.089  -1.928
H  -3.006  2.868  -3.017
H  -2.851  1.091  -2.586
H  -2.120  1.767  -0.650
H  -2.509  3.501  -0.761
H  -1.288  2.548  -1.618
C  -0.290  4.327  5.875
C  -0.448  3.541  4.615
C  0.203  4.459  3.477
C  0.299  3.886  2.033
C  0.780  4.844  0.955
C  2.314  5.010  1.146
H  -0.837  3.702  6.531
H  -0.473  5.358  5.821
H  0.785  4.457  6.178
H  -1.506  3.446  4.290
H  0.086  2.872  4.756
H  1.108  4.667  3.801
H  -0.390  5.322  3.339
H  -0.680  3.479  1.887
H  1.079  3.099  2.311
H  0.227  5.798  0.715
H  0.704  4.336  0.095
H  2.853  4.250  0.990
H  2.657  5.618  1.910
H  2.764  5.435  0.360



[2]
Entry from OMol25: 2 unconnected molecules or ions with the total composition C3H12N2 (ωB97M-V/def2-TZVPD).

Computed properties:
LUMO level: -8.30 eV
Frontier orbital gap: 12.88 eV
E_tot: -6266.9311 eV
Charge: +2
Energy relative to the best compared isomer or geometry (same formula, charge and spin): 53.1 kcal/mol
M: 76.14 g mol⁻¹

Positions of all 17 atoms, in Å:
C  0.904  0.236  0.597
C  -0.139  0.083  -0.421
C  -1.107  -0.925  0.392
N  -2.503  -0.679  -0.323
N  2.598  1.100  0.013
H  1.521  -0.654  0.700
H  0.920  0.838  1.498
H  0.346  -0.348  -1.303
H  -0.556  1.060  -0.668
H  -0.961  -1.920  -0.009
H  -1.302  -0.554  1.389
H  -2.284  -0.331  -1.247
H  -2.900  -1.608  -0.454
H  -3.153  -0.029  0.174
H  3.347  0.711  0.583
H  2.453  2.110  0.046
H  2.817  0.908  -0.966
*/

**Solution:**
[1]
Entry from OMol25: 5 unconnected molecules or ions with the total composition C30H71N (ωB97M-V/def2-TZVPD).

Computed properties:
LUMO level: 0.75 eV
Frontier orbital gap: 9.04 eV
E_tot: -33736.7803 eV
Charge: 0
Energy relative to the best compared isomer or geometry (same formula, charge and spin): 80.8 kcal/mol
SMILES string: CCN(CC)CC.CCCCCC.CCCCCC.CCCCCC.CCCCCC
M: 445.90 g mol⁻¹

Positions of all 102 atoms, in Å:
C  2.697  0.822  3.675
C  1.951  -0.128  2.882
N  0.538  0.183  2.559
C  0.066  -0.289  1.143
C  0.139  -1.781  0.946
C  -0.521  -0.331  3.524
C  -2.000  0.008  3.341
H  2.685  1.946  3.168
H  3.840  0.790  3.700
H  2.168  1.077  4.571
H  1.980  -1.326  3.154
H  2.527  -0.221  1.903
H  0.817  0.236  0.388
H  -0.776  0.300  0.576
H  -0.281  -1.987  0.104
H  -0.358  -2.352  1.744
H  1.078  -2.048  1.121
H  -0.227  0.030  4.418
H  -0.315  -1.466  3.632
H  -2.099  1.185  3.159
H  -2.641  -0.336  4.020
H  -2.180  -0.598  2.513
C  -0.985  3.300  -5.425
C  -0.119  2.061  -5.779
C  -0.563  0.848  -5.121
C  0.435  -0.330  -5.183
C  0.092  -1.596  -4.465
C  0.463  -1.560  -2.931
H  -0.953  3.393  -4.365
H  -1.918  3.085  -5.652
H  -0.771  4.179  -5.920
H  0.976  2.303  -5.594
H  -0.326  2.083  -6.714
H  -1.589  0.579  -5.119
H  -0.557  1.081  -4.041
H  1.569  -0.188  -4.855
H  0.375  -0.551  -6.237
H  0.296  -2.516  -4.825
H  -0.938  -1.683  -4.433
H  1.451  -1.555  -2.872
H  0.183  -2.408  -2.403
H  -0.013  -0.741  -2.435
C  4.891  -6.626  3.778
C  4.808  -7.523  2.536
C  3.533  -7.250  1.732
C  3.739  -6.012  0.853
C  2.484  -5.352  0.168
C  2.787  -4.019  -0.434
H  5.733  -7.088  4.325
H  3.999  -6.556  4.455
H  5.147  -5.591  3.420
H  4.666  -8.581  2.786
H  5.830  -7.331  2.063
H  2.735  -7.177  2.460
H  3.253  -8.232  1.291
H  4.450  -6.122  0.114
H  3.945  -5.339  1.610
H  1.651  -5.209  0.702
H  2.082  -5.969  -0.676
H  3.685  -4.053  -1.095
H  3.103  -3.509  0.429
H  1.947  -3.715  -1.121
C  -6.670  0.107  -4.304
C  -5.529  1.043  -3.881
C  -5.667  1.139  -2.309
C  -4.508  2.180  -1.747
C  -3.117  2.140  -2.230
C  -2.129  2.606  -1.307
H  -7.556  0.520  -3.973
H  -6.530  -0.942  -3.923
H  -6.783  -0.317  -5.310
H  -5.458  2.098  -4.290
H  -4.576  0.792  -4.128
H  -5.501  0.253  -1.968
H  -6.473  1.403  -1.812
H  -4.532  1.964  -0.612
H  -5.096  3.089  -1.928
H  -3.006  2.868  -3.017
H  -2.851  1.091  -2.586
H  -2.120  1.767  -0.650
H  -2.509  3.501  -0.761
H  -1.288  2.548  -1.618
C  -0.290  4.327  5.875
C  -0.448  3.541  4.615
C  0.203  4.459  3.477
C  0.299  3.886  2.033
C  0.780  4.844  0.955
C  2.314  5.010  1.146
H  -0.837  3.702  6.531
H  -0.473  5.358  5.821
H  0.785  4.457  6.178
H  -1.506  3.446  4.290
H  0.086  2.872  4.756
H  1.108  4.667  3.801
H  -0.390  5.322  3.339
H  -0.680  3.479  1.887
H  1.079  3.099  2.311
H  0.227  5.798  0.715
H  0.704  4.336  0.095
H  2.853  4.250  0.990
H  2.657  5.618  1.910
H  2.764  5.435  0.360



[2]
Entry from OMol25: 2 unconnected molecules or ions with the total composition C3H12N2 (ωB97M-V/def2-TZVPD).

Computed properties:
LUMO level: -8.30 eV
Frontier orbital gap: 12.88 eV
E_tot: -6266.9311 eV
Charge: +2
Energy relative to the best compared isomer or geometry (same formula, charge and spin): 53.1 kcal/mol
M: 76.14 g mol⁻¹

Positions of all 17 atoms, in Å:
C  0.904  0.236  0.597
C  -0.139  0.083  -0.421
C  -1.107  -0.925  0.392
N  -2.503  -0.679  -0.323
N  2.598  1.100  0.013
H  1.521  -0.654  0.700
H  0.920  0.838  1.498
H  0.346  -0.348  -1.303
H  -0.556  1.060  -0.668
H  -0.961  -1.920  -0.009
H  -1.302  -0.554  1.389
H  -2.284  -0.331  -1.247
H  -2.900  -1.608  -0.454
H  -3.153  -0.029  0.174
H  3.347  0.711  0.583
H  2.453  2.110  0.046
H  2.817  0.908  -0.966